
Nominations Sought for the 2014 ABA Pro Bono Publico Award

  • 1/8/2014
  • American Bar Association Standing Committee on Pro Bono and Public Service
  • Source: Pennsylvania

== Attached: records of molecules ==
No. 1
13
Properties=species:S:1:pos:R:3 method="wB97M-V/def2-TZVPD" e_above_lowest_kcal_mol=36.4 smiles=C#CPSCC homo_energy_ev=-8.492 orbital_gap_ha=0.3442 total_charge=0
C -0.653 1.170 3.821
C -0.245 0.582 2.849
P 0.306 -0.515 1.507
S 0.416 0.996 0.058
C -0.079 0.298 -1.626
C 0.686 -0.967 -1.932
H -0.961 1.859 4.529
H -1.070 -0.792 1.109
H -1.111 0.085 -1.771
H 0.107 1.105 -2.251
H 1.730 -0.885 -2.135
H 0.481 -1.718 -1.217
H 0.395 -1.218 -2.943

=====

No. 2
47
Properties=species:S:1:pos:R:3 method="wB97M-V/def2-TZVPD" e_above_lowest_kcal_mol=46.0 homo_energy_ev=-6.464 orbital_gap_ha=0.3365 total_charge=-1
C 2.133 1.517 2.544
C 2.256 0.117 1.930
C 2.060 -0.959 2.987
C 2.999 -2.158 2.826
S 0.343 -1.503 3.140
O -0.194 -0.866 4.322
O 0.369 -2.930 3.271
N -0.350 -1.024 1.757
S -1.925 -0.913 1.848
O -2.380 -0.334 0.621
O -2.614 -2.129 2.100
O -2.434 0.187 3.047
C -3.159 -0.326 3.954
N -3.831 -0.826 4.768
H 3.038 1.715 3.101
H 1.310 1.520 3.238
H 2.004 2.257 1.772
H 1.532 0.065 1.130
H 3.234 0.022 1.482
H 2.302 -0.517 3.938
H 3.926 -1.778 2.436
H 3.150 -2.574 3.804
H 2.573 -2.899 2.176
C -0.768 -1.091 -2.317
C -0.156 -2.484 -2.328
C -1.090 -3.509 -2.960
O 0.146 -2.872 -0.994
H -1.685 -1.075 -1.724
H -0.086 -0.376 -1.857
H -1.003 -0.751 -3.330
H 0.786 -2.464 -2.879
H -2.023 -3.573 -2.395
H -0.633 -4.500 -2.946
H -1.327 -3.248 -3.994
H -0.681 -2.891 -0.498
C -1.299 4.741 -2.828
C -0.132 3.770 -2.717
C -0.412 2.481 -3.475
O 0.135 3.481 -1.348
H -2.202 4.303 -2.395
H -1.087 5.657 -2.277
H -1.504 4.998 -3.869
H 0.771 4.239 -3.111
H -1.287 1.975 -3.062
H 0.429 1.795 -3.380
H -0.589 2.673 -4.536
H -0.645 3.059 -0.972

* * * * *

ORCA calculation (the ωB97M-V functional and the def2-TZVPD basis) on a cluster of 8 separate species, C45H73N4O24 in total at a distorted geometry.

Structure (ORCA input):
```
! RIJCOSX wB97M-V def2-TZVPD def2/J DEFGRID3
* xyz 1 1
C 0.5814 1.8804 1.7274
C -0.2088 1.1162 1.2572
C -1.0957 0.0997 0.6831
C -2.4490 0.1926 1.4116
C -2.3780 -0.2317 2.8692
C -3.6298 0.1973 3.6219
N -4.8136 -0.4771 3.0669
N -1.3662 0.4195 -0.7604
C -0.4365 -0.0407 -1.6310
N -0.6798 -0.2050 -2.9121
C -1.9338 0.0806 -3.5967
C -2.0419 -0.7388 -4.8968
C -2.2057 0.1318 -6.1519
C -1.8904 -0.6405 -7.4426
N 0.7863 -0.2679 -1.1135
O 1.7423 -0.4298 -2.1164
C 2.9158 0.3373 -1.7914
C 3.7895 0.3843 -3.0256
C 0.9057 -1.2558 0.0076
C 1.4433 -2.5937 -0.4548
C 1.9977 -3.3787 0.7600
C 2.0902 -4.8702 0.3949
C 3.3997 -2.8406 1.1164
C -0.4418 -1.2917 0.7672
C -1.3898 -2.4183 0.3312
C -1.2692 -3.7062 1.1658
C -2.6088 -4.4286 1.2653
O -2.3935 -5.8478 1.2622
C -3.0145 -6.5146 2.3024
C -2.1972 -6.5375 3.5569
O -4.0782 -7.0323 2.1582
H 1.2257 2.6457 2.0863
H -3.2063 -0.3937 0.8928
H -2.7649 1.2383 1.3597
H -2.3293 -1.3233 2.9228
H -1.5005 0.1896 3.3585
H -3.7287 1.2805 3.5297
H -3.5430 -0.0346 4.6794
H -5.5735 -0.4071 3.7345
H -5.1426 0.0429 2.2606
H -2.2969 0.0897 -0.9994
H 0.0918 -0.5315 -3.4764
H -2.7740 -0.1694 -2.9520
H -2.0023 1.1417 -3.8375
H -2.9123 -1.3886 -4.8159
== So much for the records of molecules ==

The American Bar Association Standing Committee on Pro Bono and Public Service is currently seeking nominations for the 2014 ABA Pro Bono Publico Award

Each year the Standing Committee presents five awards to individual lawyers and institutions in the legal profession that have demonstrated outstanding commitment to volunteer legal services for the poor and disadvantaged. 

The Pro Bono Publico Awards program seeks to identify and honor individual lawyers and small and large law firms, government attorney offices, corporate law departments and other institutions in the legal profession that have enhanced the human dignity of others by improving or delivering volunteer legal services to our nation's poor and disadvantaged. These services are of critical importance to the increasing number of people in this country living in a state of poverty who are in need of legal representation to improve their lives.

The commitment, energy and new approaches to the delivery of pro bono service demonstrated by past recipients serve as models for others in the legal profession.

Some candidates will be nominated for their longtime dedication to the delivery of pro bono legal services to the poor. Others might be nominated for their creative approaches to the delivery of volunteer legal services or their commitment to representing low-income persons. Some may have brought about legislation that contributes substantially to legal services to the poor.

The Committee is currently accepting nominations from the following two categories:

  • Individuals: Individual attorneys who do not obtain their income delivering legal services to persons of limited means are eligible. (Compensated pro bono coordinators are not eligible.)              
  • Organizations: Small and large law firms, government attorney offices, corporate law departments, law schools and other institutions in the legal profession whose members have collectively made an outstanding contribution toward one or more of the criteria are also eligible.

Nominations may be submitted by completing the individual online nomination form or the organization online nomination form. This form must be submitted for both new nominations and for repeat nominations. Additional supporting information also needs to be submitted.

For complete information on the award criteria and nomination process, visit

Nominations will be accepted through February 28, 2014.

The Committee will select award recipients in April, 2014. All nominators will be notified about the status of the nomination as soon as possible after selections are made.

The 2014 award will be presented at the ABA Annual Meeting on Saturday, August 9, 2014.